Camellia L. is distinguished from other genera of Theaceae by relatively large, apically dehiscent capsules and wingless, semi-globose or polygonal seeds with umbilicate hila (Ming & Bartholomew, 2007). Due to the use of inconsistent classificatory systems (Sealy, 1958; Chang & Bartholomew, 1984; Gao et al., 2005; Ming & Bartholomew, 2007), the total number of Camellia species is uncertain and has been difficult to approximate. In the 1950’s about 100 species were recognized (Sealy, 1958). More recently, the number has been estimated to be over 300 (Le et al., 2021).

Camellia species are widely distributed from Nepal, Bhutan, northeastern India, Myanmar, China, and Japan, to Southeast Asia. The highest species diversity is found in northern Vietnam and southern China (Sealy, 1958; Ming & Bartholomew, 2007; Orel & Curry, 2015). In the mid 1990’s, approximately fifty species of Camellia were recognized in Vietnam (Hô, 1999; Ninh, 2002; Ming & Bartholomew, 2007). Most of these species are endemic to northern Vietnam, which is a center of diversity for the genus. However, in recent years, many new species have been published from southern Vietnam, increasing the total to more than 95 species in Vietnam (Orel et al., 2014a, 2014b; Luu et al., 2015; Ninh & Luong, 2016; Luong et al., 2016a, 2016b; Luu et al., 2018; Do et al., 2019; Le et al., 2020; Quach et al., 2021a, 2021b). These new discoveries make southern Vietnam another center of Camellia diversity (Orel & Curry, 2015). Most Camellia species found in southern Vietnam have small populations and distributions that render them extremely rare and highly endemic.

In March 2021, during a floristic survey in Gung Re Commune, Di Linh District, Lam Dong Province, several flowering and fruiting specimens of an unidentified species of Camellia were collected. Morphological analysis firmly placed the species in C. sect. Piquetia Pierre, as characterized by Sealy (1958) and Chang & Bartholomew (1984). These features include long thin, pendulous pedicels with two or three bracteoles; five free styles, the stamens free above a 2–3 mm basal adnation with petals, and sparsely pubescent at base; and a five-locular, tomentose ovary. Thorough examination of the literature and comparison with. specimens of related species of Camellia, both in-hand and online, suggested that the species from Gung Re Commune was new to science. A formal description of the new species follows.

Taxonomic treatment

Camellia phuongchiana Curry, V.H. Quach, T.T. Hoang & Q.C. Truong, sp. nov.—Type: Vietnam, Lam Dong Province, Di Linh District, Gung Re Commune, mixed evergreen broadleaf-bamboo forest, elevation 890–950 m, 14 Mar 2021, Quach Van Hoi & Hoang Thanh Truong VTN1705 (holotype: DLU [!] (DLU00008051); isotype: VNM [!]). (Figs. 1 and 2.)

Fig. 1
figure 1

Camellia phuongchiana. A. Tree in habitat. B–C. Young branches. D. Flower bud. E. Flower, frontal view. F. Flower, back view. G. Sepals. HI. Petals. JK. Gynoecium. LM. Fruits. N. Dehisced capsule and seeds. [Images are from the holotype VTN1705, taken by Quach Van Hoi (A, B, C, D), Hoang Thanh Truong (E, F, G, H, I, J, K), and Truong Quang Cuong (L, M, N); the colour photomontage was prepared by Luong Van Dung.].

Fig. 2
figure 2

Camellia phuongchiana. A. Leaf (adaxial view). B. Venation of leaf (abaxial view). C. Flower, frontal view. D. Flower, back view. E. Sepals. F–G. Petals. H. Filaments. I. Gynoecium and sepals. J. Fruit. K. Seed. [Drawn from holotype VTN1705, by Luong Van Dung.].

Diagnosis.Camellia phuongchiana is distinguished from other species in C. sect. Piquetia by possession of 10–11 petals with both petal surfaces densely pubescent; young branches sparsely pubescent; leaf blades (20–)24–32(−35) × 6–8 cm, leaf apices acuminate; petioles 1.8–2 cm long; pedicels 3.5–5.5 cm long; flowers axillary, purple to light red, and with relatively short stamens (1.2–1.5 cm long).

Shrubs to small trees, 3–4 m tall; young branches sparsely pubescent and later glabrous. Leaves alternate; blades oblong, (20–)24–32(−35) × 6–8 cm, coriaceous, apex acuminate, base broadly acute or obtuse, adaxially dark green, shiny, and glabrous, abaxially light green, sparsely pubescent; midrib and lateral veins impressed above, prominent below, lateral veins 17–23 pairs, the margin shallow serrate; petioles falcate, slightly curved, 1.8–2 cm long, glabrous. Flowers solitary or clustered in groups of 2(−3), axillary, 3.5–3.7 cm in diameter; flower buds globose, pendulous, 0.9–1.2 cm in diameter, reddish green, pubescent; pedicel (3.5–)4–5(−5.5) cm long, thickened upwards, 0.15 cm wide proximally up to 0.35 cm wide distally, brownish green, glabrous; bracteoles 2–3, scale-like, 1.5–2 × 1.2–1.6 mm, brownish green, pubescent on both surfaces, persistent. Sepals 5, orbicular or semi-orbicular, 3–5 × 4–7 mm wide, dark red to purple, both surfaces densely pubescent, margin ciliate, persistent. Petals 10–11, purple to light red, both surfaces pubescent, in 2 whorls, outer whorl 5, orbicular, 0.8–1.5 × 1–1.3 cm, red to dark red with narrow white margins; inner whorl 5–6, broadly ovate, 1.8–2 × 1.4–1.5 cm. Stamens numerous, in 4 whorls; filaments 1.2–1.5 cm long, yellow, sparsely pubescent at base, outer filaments united and adnate to innermost petals for 2–3 mm at base; anthers small, less than 1 mm long, light yellow. Ovary 5-locular, superior, oblate, ribbed, about 3 mm diameter, tomentose; styles 5, free at the base, 1.4–1.6 cm long, tomentose. Capsules corky, flattened-globose, 5–5.5 cm in diameter, 2–2.3 cm high, 5-lobed, sparsely hairy when immature, glabrous at maturity; pericarp thin, 1.5–2 mm thick; columella stout, 1–1.2 cm long. Seeds 1–2 per locule, globose or semi-globose, 1.7–1.8 cm long, 1.9–2 cm wide, brown, glabrous (Table I).

Table I Morphological comparison of Camellia phuongchiana with C. honbaensis, C. piquetiana and C. longii*.

Etymology. —The specific epithet honours the discoverer’s daughter.

Vernacular name.—Vietnamese: Hồngtràphương chi (Red tea phuong chi).

Distribution and ecology.—Camellia phuongchiana is only known from the type locality at Gung Re Commune, Di Linh District, Lam Dong Province. It grows scattered along a stream and among rocks under the canopy of evergreen, mixed broadleaf-bamboo forest at elevations of 890–950 m.

Conservation status.—The type-population of Camellia phuongchiana is estimated to be fewer than 30 mature individuals distributed in an area of less than 1 km2. It is predicted that additional individuals may be found by further field surveys in similar forests in the vicinity of the type-locality. However, on-going degradation and destruction of primary, moist, broadleaf forest for the development of coffee (Coffea canephora Pierre ex A.Froehner) plantations at the type-locality threatens the species. For these reasons, C. phuongchiana is provisionally assessed to be Critically Endangered (CR B2a; D) according to IUCN categories and criteria (IUCN Standards and Petitions Committee, 2019).

Phenology.—Camellia phuongchiana flowers from January to April and fruits from June to December.


Camellia phuongchiana possesses the morphological characteristics that distinguish sect. Piquetia from other sections of the genus, namely flowers axillary, solitary or in groups of three to five; pedicels with two or three persistent bracteoles; sepals five; petals eight or more; stamens free above the 2–3 mm basal adnation with petals; stamens sparsely pubescent at base; ovary five-locular, tomentose, and the styles five and free (Sealy, 1958; Chang & Bartholomew, 1984).

Morphologically, Camellia phuongchiana is most similar to C. honbaensis Luu, Q. D. Nguyen & G. Tran and C. piquetiana (Pierre) Sealy as it shares the following features with these two species: oblong to elliptic to lanceolate leaf shape; flowers solitary or clustered in groups of up to three flowers; flower colour purple to light red, red to purplish red or pinkish-purple, respectively; bracteoles two or three, persistent; filament bases sparsely pubescent, hairy or puberulous; ovaries ribbed, tomentose, lobed, hairy (refer to Image G. Fig. 1, Luu et al., 2018) or lobulate, densely tomentose, respectively (Sealy, 1958; Chang & Bartholomew, 1984; Luu et al., 2018). However, C. phuongchiana is distinct from C. honbaensis and C. piquetiana in many morphological traits, including: young branches pubescent (vs. glabrous in C. honbaensis and C. piquetiana); leaf blades are generally shorter and narrower; pairs of lateral veins generally fewer; petioles longer; pedicels generally longer; petal number generally slightly greater; petals densely pubescent on both surfaces (vs. finely hairy on outer surfaces in C. honbaensis and the inner petals finely hairy on the outer surfaces in C. piquetiana); stamens shorter; locules five (vs. three in C. honbaensis and five (or six) in C. piquetiana); styles five and 1.4–1.6 cm long (vs. three and 1.7–2.1 cm long in C. honbaensis and five (or six) and 2.4 cm long in C. piquetiana) (Table I.).

Morphologically, Camellia longii Orel & Luu with dark orange to red flowers is also similar to C. phuongchiana, However, C. puongchiana exhibits a number of differences from C. longii namely leaf blades oblong to lanceolate (vs. narrowly elliptic to narrowly oblong), leaf apices acuminate (vs. cuspidate to acuminate), the leaves of C. phuongchiana typically have more lateral leaf vein pairs, longer petioles, flowers solitary or clustered in groups of two or three (vs. solitary), flowers axillary or terminal (vs. axillary), pedicels longer, petals in two whorls (vs. three whorls), petals purple-light red (vs. dark orange-red with uneven whitish margin), stamens shorter, filaments sparsely pubescent at base and positioned in 4 whorls (vs. glabrous and positioned in a tight formation with whorls indistinct), stamens shorter than or equal to styles (vs. shorter than styles); styles five, shorter, free to base, and tomentose (vs. five- or six-parted, longer, fused for 5 mm from base, thinly puberulous) (Table I). All other species in the sect. Piquetia bear yellow petals or yellow petals with pink petal margins and are clearly distinguished from C. phuongchiana, which has purple to light red petals (Orel, 2006; Ninh et al., 2012; Orel et al., 2014b, Luu et al., 2015; Quach et al., 2021a, 2021b).


  • 1. Flowers dark orange-red, purple-light red, red to purplish red or pink-purple in colour.

  • 2. Ovaries 3(−4)-locular; petals red to purplish red………………………...………...……….…...……………...C. honbaensis

  • 2. Ovaries 5(−6)-locular.

  • 3. Petals 7(−8), dark orange to red…………………….………………………………….………………………. C. longii

  • 3. Petals 8 or more.

  • 4. Petals pink to purple, densely pubescent on outer surface…………………………………...…………. C. piquetiana

  • 4. Petals purple to light red, densely pubescent on both surfaces………………………………..……. C. phuongchiana

  • 1. Flowers yellow.

  • 5. Flowers light yellow or yellow to apricot with pigmented petal margins.

  • 6. Young branches and leaves glabrous; petals 8, petal margins intense pink………………………. C. dongnaiensis Orel

  • 6. Young branches and leaves hairy; petals 10–11(−12), petal margins dull pink....……C. langbianensis (Gagnep.) P.H.Hô

  • 5. Flowers yellow; petal margins without pink pigmentation.

  • 7. Young branches and leaves hairy………………………………...………….C. dalatensis V.D. Luong, Ninh & Hakoda

  • 7. Young branches and leaves glabrous.

  • 8. Leaves cordate at base…..………………………………………………………C. sphamii Q.C. Truong & V.S. Le

  • 8. Leaves rounded or acute at base.

  • 9. Leaves narrowly lanceolate; styles (3–)4, free; ovaries (3–)4-locular.……………………………………………………………………………C. sonthaiensis Luu, V.D. Luong, Q.D. Nguyen & T.Q.T. Nguyen

  • 9. Leaves narrowly elliptic to narrowly oblong or elliptic to oblong; styles 4–5, free to base.

Unrelated to this piece: materials data >
Theoretical X-ray diffraction stick pattern of Th3GaAs2Rh8 for Cu Kα (weighted mean of Kα1 and Kα2), from a structure optimized by DFT (GGA-PBE).
Intensities are scaled so that the largest is 100.

Largest 6 diffraction maxima, by angle, 2θ = 15–90°:
(1 1 0), 32.5°, rel. 91; (1 0 3), 33.6°, rel. 68; (1 1 2), 37.6°, rel. 100; (0 2 1), 38.9°, rel. 96; (0 1 4), 42.0°, rel. 94; (1 2 4), 64.5°, rel. 53

```
data_Th3GaAs2Rh8
_chemical_formula_sum 'Th3 Ga1 As2 Rh8'
_symmetry_space_group_name_H-M 'P -3 m 1'
_symmetry_Int_Tables_number 164
_symmetry_space_group_name_Hall '-P 3 2"'
_cell_length_a 5.5149
_cell_length_b 5.5149
_cell_length_c 9.6355
_cell_angle_alpha 90.00
_cell_angle_beta 90.00
_cell_angle_gamma 120.00
loop_
_atom_site_label
_atom_site_fract_x
_atom_site_fract_y
_atom_site_fract_z
_atom_site_occupancy
Th1 0.0000 0.0000 0.0000 1
Th2 0.3333 0.6667 0.5692 1
Ga1 0.0000 0.0000 0.5000 1
As1 0.3333 0.6667 0.0939 1
Rh1 0.1645 0.3291 0.2834 1
Rh2 0.3333 0.6667 0.8427 1
```

----------

(1)
# La2Pm4TmSc
Theoretical powder XRD pattern, copper Kα. Input: a PBE-relaxed structure.
Lines closer than 0.1° are merged.

Atomic structure:
```
data_La2Pm4TmSc
_chemical_formula_sum 'La2 Pm4 Tm1 Sc1'
_symmetry_space_group_name_H-M 'P 1 2/m 1'
_symmetry_Int_Tables_number 10
_cell_length_a 5.065
_cell_length_b 5.092
_cell_length_c 10.275
_cell_angle_alpha 90.00
_cell_angle_beta 90.07
_cell_angle_gamma 90.00
loop_
_symmetry_equiv_pos_as_xyz
'x,y,z'
'-x,-y,-z'
'-x,y,-z'
'x,-y,z'
loop_
_atom_site_label
_atom_site_type_symbol
_atom_site_fract_x
_atom_site_fract_y
_atom_site_fract_z
La1 La 0.000 0.000 0.000
La2 La 0.500 0.500 0.500
Pm1 Pm 0.000 0.500 0.246
Pm2 Pm 0.500 0.000 0.247
Tm1 Tm 0.000 0.000 0.500
Sc1 Sc 0.500 0.500 0.000
```

Largest 10 diffraction maxima, by angle, 10 to 90 degrees two-theta:
| 2θ/deg | I (rel.) | h k l |
| --- | --- | --- |
| 30.4 | 100 | 1 1 2 |
| 34.9 | 17 | 0 0 4 |
| 35.3 | 17 | 0 2 0 |
| 35.4 | 17 | 2 0 0 |
| 50.5 | 12 | 0 2 4 |
| 50.6 | 12 | 2 0 4 |
| 59.8 | 14 | 1 1 6 |
| 60.3 | 14 | 1 3 2 |
| 60.5 | 14 | 3 1 2 |
| 63.2 | 12 | 2 2 4 |


(2)
# Tl16SbPb12
Theoretical powder XRD pattern, copper Kα. Input: a PBE-relaxed structure.
Lines closer than 0.1° are merged.

Atomic structure:
```
data_Tl16SbPb12
_chemical_formula_sum 'Tl32 Sb2 Pb24'
_symmetry_space_group_name_H-M 'C 1 m 1'
_symmetry_Int_Tables_number 8
_cell_length_a 12.325
_cell_length_b 17.501
_cell_length_c 10.567
_cell_angle_alpha 90.00
_cell_angle_beta 125.48
_cell_angle_gamma 90.00
loop_
_symmetry_equiv_pos_as_xyz
'x,y,z'
'x,-y,z'
'x+1/2,y+1/2,z'
'x+1/2,-y+1/2,z'
loop_
_atom_site_label
_atom_site_type_symbol
_atom_site_fract_x
_atom_site_fract_y
_atom_site_fract_z
Tl1 Tl 0.000 0.000 0.000
Tl2 Tl 0.004 0.000 0.358
Tl3 Tl 0.016 0.297 0.660
Tl4 Tl 0.047 0.361 0.354
Tl5 Tl 0.203 0.204 0.039
Tl6 Tl 0.318 0.000 0.072
Tl7 Tl 0.323 0.328 0.351
Tl8 Tl 0.343 0.339 0.759
Tl9 Tl 0.354 0.000 0.705
Tl10 Tl 0.437 0.154 0.947
Sb1 Sb 0.084 0.500 0.630
Pb1 Pb 0.089 0.094 0.727

  • 10. Peduncles/pedicels 3–5.5 cm long with 2–3 bractlets; petals 5–6. ………………………………..……………………………………………………….C. proensis L.V. Dung, Doudkin & Q.V. Hoi

  • 10. Pedicels 2.8–3(−3.5) cm long with 1 bracteole; petaloids and petals 11. …………………………………….……………………………………………………………………C. pentagonalema Orel & Curry